“Should we wake Brook?” I asked, suddenly eager to see what had managed to incite Sabara. She was anticipating some wondrous thing that I now anticipated too.

Waving off the suggestion of waking Brooklynn, Eden started walking in the direction of the whooshing sound, her boots cutting a path through the sticklike grass. The sound grew louder and more insistent, and seemed to be coming from all around us as we climbed higher rather than lower. When we reached the edge of the plain, where we had to mount several rocky steps onto the bluff, the view before me took on a dramatic transformation.

Suddenly it wasn’t just grass and sand, or even rocky outcroppings, in our line of sight. It was water. For as far as I could see, there was water. Not stagnant like that of a pond or a lake. And not meandering, cutting a path through the land, the way a river did. Not even like the sliver of a sea I’d seen once before, an ice-crusted inlet we’d had to cross by ferry on our way to the summit in Vannova.

No, this water was undulating. It rolled and swelled and rippled like a living, breathing entity that kissed the horizon and disappeared into eternity.

Birds with feathers that ranged from the color of downy snow to the deep sooty gray of smoke screeched overhead, circling and dipping as they rode the wind that seemed as ceaseless as the surging waves. My hair whipped and stung my cheeks, making them tingle almost us much as my impatience.

“This way,” Eden insisted, leading me away from where we stood overlooking the water from too high up at the cliff’s edge. If we miscalculated our steps from here, the drop to the jagged rocks awaiting us below would be perilous. Farther along the bluff Eden had spotted a way down where the water met the sand. “Watch your step,” she cautioned again and again, the way I would if I were leading Angelina. The route we took was not nearly as hazardous as I’d first thought, and as we moved, I realized the grass that had tried to grow here had been trampled, as if the route had been used recurrently. A path to the sea.

The smell grew harsher, and Sabara’s memories told me that this was the flavor of sea salt, permeating everything, not just the water but the wind and sand as well. Even my lips when I licked them tasted of salt.

I was breathless when we reached the bottom, and my feet dropped from the firm rocks of the path into the soft sand, sinking almost to my ankles. Above us the jagged cliffs loomed, watching us with their rigid intensity.

I shot Eden a questioning glance, begging for permission to chase after the shifting waves. I was mesmerized by them. I watched with enthusiastic eyes as they rolled in, tumbling over themselves and lapping the shore. They smoothed the sand, compacting it and making it glisten. And then they were sucked away once more, waning into the next one that approached.

Inside me I overheard Sabara’s musings. You’ll never know anything as powerful as the sea, Charlaina. Not even I have that kind of strength. It is truly undying.

**What comes next are crystal structures, not part of the piece:**
┌──
DFT (meta-GGA r2SCAN) results for a relaxed HoBiPt crystal.

a b c (Å): 4.719 4.719 4.719
angles (deg): 60.00 60.00 60.00
Element x y z (fractional)
Ho1 0.500 0.500 0.500
Bi1 0.000 0.000 0.000
Pt1 0.250 0.250 0.250

Output
- Total moment: 0.0 μB per cell
- DFT total energy: -48.80 eV per atom

DFT (meta-GGA r2SCAN) results for a relaxed Cd3Se4 crystal.

a b c (Å): 9.234 12.788 10.218
angles (deg): 119.04 90.00 111.17
Element x y z (fractional)
Cd1 0.091 0.432 0.099
Cd2 0.005 0.341 0.659
Cd3 0.346 0.739 0.175
Cd4 0.259 0.777 0.780
Cd5 0.548 0.101 0.216
Cd6 0.419 0.089 0.857
Cd7 0.674 0.432 0.099
Cd8 0.670 0.341 0.659
Cd9 0.886 0.101 0.216
Cd10 0.003 0.089 0.857
Cd11 0.726 0.739 0.175
Cd12 0.851 0.777 0.780
Se1 0.094 0.252 0.151
Se2 0.182 0.294 0.808
Se3 0.127 0.663 0.323
Se4 0.056 0.520 0.585
Se5 0.118 0.903 0.709
Se6 0.491 0.252 0.151
Se7 0.445 0.294 0.808
Se8 0.469 0.605 0.215
Se9 0.307 0.874 0.076
Se10 0.480 0.886 0.658
Se11 0.730 0.127 0.439
Se12 0.827 0.321 0.870
Se13 0.869 0.663 0.323
Se14 0.797 0.520 0.585
Se15 0.901 0.874 0.076
Se16 0.739 0.886 0.658

Output
- Total moment: 0.0 μB per cell
- DFT total energy: -17.15 eV per atom

DFT (meta-GGA r2SCAN) results for a relaxed K2MoS4 crystal.

a b c (Å): 6.900 9.422 12.233
angles (deg): 90.00 90.00 90.00
Element x y z (fractional)
K1 0.750 0.045 0.836
K2 0.250 0.955 0.164
K3 0.750 0.545 0.664
K4 0.250 0.455 0.336
K5 0.250 0.156 0.611
K6 0.750 0.844 0.389
K7 0.250 0.656 0.889
K8 0.750 0.344 0.111
Mo1 0.750 0.754 0.067
Mo2 0.250 0.246 0.933
Mo3 0.750 0.254 0.433
Mo4 0.250 0.746 0.567
S1 0.250 0.780 0.390
S2 0.750 0.220 0.610
S3 0.250 0.280 0.110
S4 0.750 0.720 0.890
S5 0.495 0.152 0.363
S6 0.995 0.848 0.637
S7 0.005 0.652 0.137
S8 0.505 0.348 0.863
S9 0.505 0.848 0.637
S10 0.005 0.152 0.363
S11 0.995 0.348 0.863
S12 0.495 0.652 0.137
S13 0.750 0.981 0.108
S14 0.250 0.019 0.892
S15 0.750 0.481 0.392
S16 0.250 0.519 0.608

Output
- Total moment: 0.0 μB per cell
- DFT total energy: -11.14 eV per atom

~~~~~

# 1
First-principles (PBE-GGA) data for a geometry-optimized Dy2Fe15Si2CN structure, as listed in Materials Project.

## Properties
ΔE_f	-198	meV/atom

a b c (Å): 6.4508 6.4676 6.4746
angles (deg): 82.84 82.31 82.69
Closest atoms and distances in Å follow each position.
Space group P-1 (No. 2)
Unique sites:
1 Dy 0.1597 0.1571 0.1498 x2  1 N 2.43, 1 C 2.51
2 Fe 0.0000 0.5000 0.5000 x1  8 Fe 2.44-2.46, 2 Si 2.59
3 Fe 0.1539 0.1579 0.6474 x2  1 C 1.92
4 Fe 0.1557 0.6457 0.1574 x2  8 Fe 2.44-2.62, 1 Si 2.62
5 Fe 0.2071 0.5012 0.7921 x2  8 Fe 2.45-2.62
6 Fe 0.2159 0.7827 0.5022 x2  1 C 1.85
7 Fe 0.3512 0.8419 0.8456 x2  1 N 1.93
8 Fe 0.4984 0.7799 0.2211 x2  1 N 1.89
9 Fe 0.5000 0.0000 0.5000 x1  8 Fe 2.44-2.47, 2 Si 2.60
10 Fe 0.5000 0.5000 0.0000 x1  8 Fe 2.44-2.46, 2 Si 2.60
11 Si 0.3987 0.3990 0.3994 x2  1 Si 2.54, 12 Fe 2.59-2.79
12 C 0.0000 0.0000 0.5000 x1  4 Fe 1.85-1.92
13 N 0.5000 0.0000 0.0000 x1  4 Fe 1.89-1.93


# 2
└──
**So much for the crystal structures:**

I knew she was right. The sea—this great and captivating sea—had been here long before Sabara had taken her first breath, and it would be here still, long after her Essence had sputtered out, dying at long, long last.

And me, I wanted to feel it beneath my feet, between my toes. I wanted it lapping at my shins and splashing at my knees. Eden showed me a wry smile, an affirmation of my greatest desires, and I set loose, shucking my shoes from my feet as I raced toward the water. The sand slowed my steps, but I persisted, my gales of laughter getting lost on the chilly wind that slapped at my cheeks.

I stepped gingerly onto the wet sand, pulling the hems of my pants up so they passed my knees as I hesitantly approached the surf. The froth-tipped waves swept toward me, and I jumped back, afraid of what they might do. How they might feel.

Go. Go, Charlaina, go, Sabara urged, a siren’s chant. And I went, doing as she decreed.

My toes slipped beneath first, the frigid waters making me gasp. And then delight sang through my veins as I answered the summons of the sea. When I felt the pulsating ocean around my ankles, I turned back to see Eden, her arms crossed in front of her. She was the eternal sentinel.

I waved, hoping to crack her stoic expression. But she remained straight-faced and unflinching, until the water lured my attention once more by crashing against my knees. I giggled with delight. Then I splashed the ocean whenever it splashed me. I dashed toward the retreating waves as they withdrew back into the sea, and ran again when they came racing toward me. They were faster, always faster than I was, and invariably I was caught by them, until it didn’t matter that I’d tried to protect my clothing, to keep it dry. I was wet, from my hair to my toes.

When I heard Brooklynn’s voice calling to us from above the constant wind and the ceaseless whooshing of the waves, I ran across the sand to where she navigated down the path to the shore, where Eden stood watch.

“Brook! Come on,” I cried, not glancing at Eden now, and knowing she wouldn’t give up her post even if I invited her. “It’s magnificent, the sea. You have to try it!”

Brook looked at me dubiously, and then at the surf beyond. I used the tips of my fingers to pry salty strands of hair from my mouth, and used the backs of my hands to wipe sand from my both cheeks.

“I don’t know,” she said mistrustfully as I dragged her toward the awaiting water. “It doesn’t look safe. In fact, it looks positively unsafe, if you ask me.”

“Well, it isn’t,” I assured her. “Now, take your boots off. Trust me.”

It wasn’t my speech that convinced her. I knew because I’d never been capable of such a feat. It was her curiosity that won in the end, and by the time I’d let go of her hand and was jumping into the next incoming wave, Brooklynn had shed her boots and was right behind me.